HUD Continuum of Care (CoC) Application

The annual CoC application is composed of two parts; the Consolidated Application and the Priority Listing. The details regarding HUD priorities and additional threshold requirements are released for each funding year at the time of HUD’s Notice of Funding Opportunity (NOFO) for the CoC Program.  The Consolidated Application is prepared and submitted by the DuPage County CoC’s designated Collaborative Applicant, DuPage County Community Services. HUD assesses CoCs nationwide on system-wide performance outcomes and coordination, and scores and ranks CoCs accordingly to determine which CoCs will receive funding priority for project applications submitted by the CoC in the Priority Listing.

To visit the HUD Exchange FY2024 CoC Program NOFO page, click here.

2024 DuPage Homeless CoC Local Competition Announcement

The DuPage Continuum Leadership Committee is announcing the application and selection process for HUD’s 2024 Continuum of Care funding. The 2024 Ranking Criteria is posted below.  It contains the point values for the objective criteria used to rank and review projects. Applications are due no later than May 1, 2024.

To access the Neighborly Application Portal, click here. 

HUD CoC NOFO Application

HUD published the FY2024 Continuum of Care (CoC) Funding Notice for Homeless Assistance Grants on TBD.  Approximately $X.XX billion is available. Of this, $XX million is available for Domestic Violence bonus projects.

The DuPage County CoC has established a local process for assessing local gaps and needs, determining funding priorities for its CoC program, determining possible reallocations, inviting, reviewing, scoring and ranking projects according to successful performance that reflects the project’s ability to assist with addressing system-wide progress towards ending homelessness.  The DuPage County CoC has established policies and procedures for this process.

All information regarding ranking policy and procedure, local ranking, selection criteria and decision making processes can be found in the information below.

2024 CoC Rating and Ranking Procedures

DuPage CoC Deadlines

TBD, 2024 – Renewal projects will submit a CoC project template for evaluation.

TBD, 2024 – New projects will submit a CoC project template for evaluation.

TBD, 2024 – The DuPage CoC Local Competition is complete. Each project application must be submitted in e-snaps for final CoC review.

TBD, 2024 – Each project applicant is notified in writing if their project is accepted, rejected, or reduced on the CoC Project Priority Listing.

Esnaps submission of projects may be no later than 30 days before the HUD deadline of 9/28/23. The DuPage CoC will notify all project applicants no later than 15 days before the application deadline of  September 28, 2023 whether their project application will be accepted and ranked, rejected or reduced as part of the CoC Consolidated application and of their number ranking.

These document the existence of a coordinated, inclusive, and outcome-oriented community process for the solicitation, objective review, ranking, and selection of CoC Program project applications.  All project applications are evaluated and ranked based on the degree to which they improve the CoC system performance.

2024 Ranking Criteria (PDF)

2024 CoC Ranking Policy (PDF)

What comes next are data records, not part of the page >
/*
Record 1
A 7-piece molecular cluster, C45H71NO21 overall at a distorted geometry. Source: the OMol25 dataset; level of theory: ωB97M-V/def2-TZVPD.

Positions of all 138 atoms, in Å:
C  0.28  1.36  0.79
C  0.16  0.26  -0.15
C  0.86  0.34  -1.61
C  0.94  -1.11  -2.35
C  1.70  -2.16  -1.41
C  2.89  -1.56  -0.54
C  4.18  -0.88  -1.06
C  5.27  -0.29  -0.10
C  5.07  -0.40  1.45
C  3.81  -1.10  2.02
C  2.77  -1.66  1.03
C  -0.65  -1.35  -2.64
C  -1.30  -2.78  -2.29
C  -2.67  -2.69  -1.44
C  -2.98  -4.14  -0.77
O  -2.61  -1.74  -0.34
C  -3.87  -1.07  -0.13
C  -4.14  0.16  -1.11
C  -4.98  -0.05  -2.42
C  -5.28  1.12  -3.43
C  -4.75  2.58  -3.20
C  -3.92  2.79  -1.89
C  -3.62  1.62  -0.88
C  -0.96  -1.23  -4.24
O  -2.07  -1.12  -4.82
N  0.38  -1.34  -4.78
C  1.52  -0.93  -3.87
C  2.66  -1.98  -4.36
C  1.84  0.55  -4.40
C  3.26  1.16  -3.96
O  4.39  0.63  -4.71
H  1.14  1.27  1.56
H  -0.43  2.25  0.82
H  -0.39  -0.68  0.19
H  1.88  0.83  -1.46
H  0.14  0.98  -2.25
H  0.91  -2.54  -0.65
H  2.05  -3.12  -1.96
H  4.35  -0.75  -2.18
H  6.17  0.22  -0.59
H  5.83  0.05  2.17
H  3.63  -1.22  3.15
H  1.81  -2.17  1.43
H  -1.39  -0.58  -2.23
H  -0.62  -3.52  -1.76
H  -1.60  -3.29  -3.29
H  -3.57  -2.37  -2.10
H  -2.17  -4.28  0.05
H  -2.96  -4.96  -1.56
H  -3.99  -4.03  -0.24
H  -3.87  -0.63  0.94
H  -4.72  -1.85  -0.24
H  -5.43  -1.07  -2.68
H  -5.91  0.96  -4.38
H  -4.99  3.44  -3.93
H  -3.56  3.87  -1.71
H  -3.02  1.88  0.05
H  0.52  -1.18  -5.79
H  2.21  -3.03  -4.36
H  2.87  -1.72  -5.47
H  3.65  -1.90  -3.80
H  1.87  0.49  -5.56
H  1.05  1.33  -4.15
H  3.22  2.29  -4.22
H  3.48  1.11  -2.84
H  4.96  0.07  -4.14
C  4.04  2.72  3.16
O  2.98  3.67  3.11
C  3.36  4.91  2.75
O  4.49  5.26  2.49
O  2.27  5.70  2.74
C  2.53  7.05  2.38
H  3.61  1.76  3.46
H  4.50  2.60  2.18
H  4.78  3.01  3.91
H  2.93  7.11  1.37
H  3.22  7.52  3.09
H  1.58  7.59  2.41
C  3.84  -8.85  -5.87
O  3.02  -8.13  -6.78
C  2.22  -7.22  -6.19
O  2.16  -6.98  -5.01
O  1.50  -6.61  -7.16
C  0.61  -5.61  -6.68
H  4.44  -9.55  -6.45
H  4.52  -8.17  -5.34
H  3.24  -9.42  -5.16
H  1.15  -4.81  -6.18
H  -0.13  -6.05  -6.00
H  0.08  -5.19  -7.53
C  3.13  -0.89  7.81
O  2.07  0.06  7.76
C  2.46  1.30  7.40
O  3.58  1.64  7.13
O  1.37  2.09  7.39
C  1.62  3.44  7.03
H  2.71  -1.85  8.11
H  3.59  -1.00  6.83
H  3.88  -0.59  8.55
H  2.02  3.50  6.01
H  2.31  3.91  7.74
H  0.68  3.99  7.06
C  3.67  7.45  7.24
O  3.07  8.67  7.67
C  1.90  8.52  8.30
O  1.35  7.47  8.53
O  1.45  9.73  8.65
C  0.20  9.72  9.34
H  4.61  7.69  6.74
H  3.89  6.81  8.10
H  3.03  6.93  6.53
H  0.28  9.18  10.28
H  -0.58  9.29  8.71
H  -0.07  10.76  9.56
C  -0.80  -3.63  6.63
O  -0.42  -3.36  5.28
C  -1.45  -3.04  4.47
O  -2.61  -2.97  4.79
O  -0.96  -2.82  3.24
C  -1.94  -2.47  2.27
H  0.10  -3.87  7.19
H  -1.26  -2.74  7.08
H  -1.48  -4.48  6.67
H  -2.44  -1.54  2.55
H  -2.67  -3.27  2.14
H  -1.43  -2.31  1.32
C  -7.00  -2.73  -6.33
O  -7.81  -1.99  -7.24
C  -8.59  -1.06  -6.66
O  -8.65  -0.82  -5.48
O  -9.30  -0.46  -7.63
*/

Dated Email Notification of 2023 Notice of Request for CoC Proposals 02-03-23  (PDF)

2023 Business Plan Application (PDF)

2023 Cost Forms (PDF)



Dated Email Notification of CoC NOFO Announcement 7-24-23 (PDF)

Dated Email Notification of Project Templates for DuPage CoC Competition 7-28-23 (PDF)

2023 CoC Rating and Ranking Procedures

2023 Project Tiering List Notification 08-29-23 (PDF)

2023 Projects Accepted and Ranking Notification 08-29-23 (PDF)

2023 Projects Rejected Reduced Notification 08-29-23 (PDF)

Dated Email Notifying CoC Members of Project Selection, Rejection, and Ranking w/Tiering and Score List 08-29-23 (PDF)

CoC Approved Consolidated Application and the CoC Approved Project Priority Listing

2023 Approved CoC Consolidated Application 9-21-23 (PDF)

2023 Approved CoC Project Priority Listing 9-21-23 (PDF)


For more information about the Continuum of Care process, please contact Mary Keating, Director of Community Services/Chair of the Leadership Committee for the DuPage County Continuum of Care at [email protected].